Talking Point - Love and Lust

What makes erotica and erotic romance so popular among readers? Is sex necessary for a healthy relationship for anyone not asexual? Is it titilation or fantasy? Carolyn Hector, Kait Gamble and Aleksandr Voinov tell us how to walk the line between the erotic and the pornographic.

Carolyn Hector talks about the importance of personal taste and finding the right level of smexy for you.
Lu-lu-lusty novels! Thanks to a certain trilogy and the privacy Kindle offers, these erotic tales have become popular. Now-a-days they’re a step above the old Dear Penthouse letters and leave you fulfilled with a story and a happy ending—no pun intended. We’re in an era where expressing your sexuality is not taboo any more. People are comfortable with their desires and tweet about them often rather than suppressing them. Taboo back in the day for me was George Michael’s I Want Your Sex. You knew the world was changing when a few years later, Color Me Badd's I Wanna Sex You Up was a hit.
At one point in time, Erotic Romance/Erotica was taboo. Oh wait, did you know there is Erotic Romance and Erotica. Depending? In the RWA world, Erotic Romance is the one with the HEA (Happily Ever After). But let’s be honest, regardless of the definition/category/genre, we’re grabbing these novels because of the love story with the explicit sex. For me, I like sex in the books I read. I’m not a huge fan of the group sex, whips, or voyeurs, but if that’s what floats your boat, so be it. I like the idea of slipping into a world where people let go of their inhibitions and say what they want and grab and feel where they want (of course as long as both parties consent).
View on the difference, Sasha White’s article.
Sorcha Grace has a great chart.

Crystal structures from another source follow >
____________
This record from Materials Project describes crystalline Na5Fe2P2C2O14 at its relaxed geometry. The functional is PBE with a Hubbard U.

a = 5.2590 Å, b = 6.5954 Å, c = 18.0259 Å
α = 90.00°, β = 90.51°, γ = 90.00°
Fractional coordinates of all 50 atoms:
Na 0.0000 0.0123 0.0000
Na 0.0000 0.9877 0.5000
Na 0.4745 0.4830 0.0809
Na 0.4745 0.5170 0.5809
Na 0.4940 0.2559 0.4077
Na 0.4940 0.7441 0.9077
Na 0.4950 0.2518 0.9066
Na 0.4950 0.7482 0.4066
Na 0.9973 0.2679 0.6705
Na 0.9973 0.7321 0.1705
Fe 0.0203 0.4976 0.8606
Fe 0.0203 0.5024 0.3606
Fe 0.4571 0.0133 0.2100
Fe 0.4571 0.9867 0.7100
P 0.5422 0.4957 0.7458
P 0.5422 0.5043 0.2458
P 0.9554 0.0016 0.3263
P 0.9554 0.9984 0.8263
C 0.5104 0.0072 0.5695
C 0.5104 0.9928 0.0695
C 0.9687 0.4959 0.5065
C 0.9687 0.5041 0.0065
O 0.0102 0.1826 0.8776
O 0.0102 0.8174 0.3776
O 0.0147 0.1889 0.3751
O 0.0147 0.8111 0.8751
O 0.1147 0.0064 0.7547
O 0.1147 0.9936 0.2547
O 0.1929 0.4974 0.9748
O 0.1929 0.5026 0.4748
O 0.2875 0.0052 0.6010
O 0.2875 0.9948 0.1010
O 0.4001 0.4991 0.8204
O 0.4001 0.5009 0.3204
O 0.4582 0.3089 0.6971
O 0.4582 0.6911 0.1971
O 0.4732 0.3117 0.1986
O 0.4732 0.6883 0.6986
O 0.5327 0.0034 0.4983
O 0.5327 0.9966 0.9983
O 0.6645 0.0011 0.3046
O 0.6645 0.9989 0.8046
O 0.7061 0.0084 0.6140
O 0.7061 0.9916 0.1140
O 0.7662 0.4967 0.9634
O 0.7662 0.5033 0.4634
O 0.8306 0.4839 0.7595
O 0.8306 0.5161 0.2595
O 0.9481 0.4841 0.5767
O 0.9481 0.5159 0.0767

Calculated values
E in eV/atom: -6.572
Volume in Å³/f.u.: 313
Calculated formation energy in eV/atom: -2.253
ρ in kg/m³: 2850
Polymorph energy (0 for the lowest one) in meV per atom: 11



This record from Materials Project describes crystalline Na3FePCO7 at its relaxed geometry. The functional is PBE with a Hubbard U.

a = 5.3010 Å, b = 11.2364 Å, c = 11.2384 Å
α = 73.55°, β = 89.98°, γ = 89.98°
Fractional coordinates of all 52 atoms:
Na 0.0000 0.0000 0.0000
Na 0.9995 0.5002 0.5000
Na 0.0146 0.2452 0.7451
Na 0.0147 0.7453 0.2451
Na 0.0645 0.7129 0.9475
Na 0.0649 0.2129 0.4475
Na 0.5042 0.5018 0.9962
Na 0.5050 0.0016 0.4961
Na 0.5096 0.2492 0.2435
Na 0.5095 0.7491 0.7437
Na 0.9495 0.2978 0.0321
Na 0.9497 0.7976 0.5325
Fe 0.4771 0.5226 0.2709
Fe 0.4778 0.0227 0.7709
Fe 0.5362 0.4743 0.7228
Fe 0.5374 0.9744 0.2228
P 0.4923 0.2021 0.9496
P 0.4925 0.7020 0.4496
P 0.5220 0.2957 0.5431
P 0.5218 0.7958 0.0433
C 0.0059 0.5465 0.7950
C 0.0068 0.0465 0.2949
C 0.0075 0.4504 0.1987
C 0.0082 0.9504 0.6987
O 0.0691 0.0170 0.7709
O 0.0687 0.5170 0.2711
O 0.1834 0.4004 0.1473
O 0.1843 0.9004 0.6473
O 0.2046 0.1892 0.9406
O 0.2047 0.6893 0.4404
O 0.2434 0.5683 0.8132
O 0.2443 0.0683 0.3130
O 0.3836 0.3754 0.6177
O 0.3837 0.8757 0.1176
O 0.4243 0.6593 0.0915
O 0.4252 0.1590 0.5913
O 0.4373 0.3416 0.4044
O 0.4373 0.8417 0.9044
O 0.5765 0.3409 0.9037
O 0.5773 0.8408 0.4037
O 0.5891 0.6538 0.5863
O 0.5896 0.1538 0.0861
O 0.6308 0.1277 0.8697
O 0.6309 0.6274 0.3699
O 0.7699 0.4325 0.1769
O 0.7706 0.9321 0.6769
O 0.8098 0.3048 0.5558
O 0.8096 0.8048 0.0560
____________

This type of romance is here and here to stay. Why? Because there are so many different authors writing different heat levels. There is the perfect book out there for you. It took me a while to figure out what I like.
My recollection between the difference of erotica vs erotic romance goes back a long time ago.
Erotic Romance―there I was, minding my own business at the public library at the tender young age of...oh I don’t know. I see this book front and center of a revolving bookstand. The risqué cover was that of a woman in a bodice―although I just thought it was her weird bra―with her breast practically exposed and some man cradling her in his arms. Don’t ask me what the name of the book was or the title. My eyes were focused on the woman and how much she looked like she enjoyed being there. I was old enough to know that my mother wouldn’t appreciate me picking that book to read. I wanted it!
My first Erotica encounter between the pages of a err um… Well, it was a nudie magazine. We’re all adults here. We’ve all seen the naked folks on the pages. No? So I’m the only one with brothers who had stacks of magazines hidden in a brown paper bag in a grocery store bag tucked under their beds behind the cracked piggy banks just out there for anyone to see? Yes, I admit it… I looked. But it wasn’t very fulfilling. There was no story behind the scenes, just the end results. I needed to know how they got to that point, who were all the extra people and why were they there.
**Side note—As an author, I once delved into a review on one of my books where a reviewer said it was an okay book but just not enough sex for him or her. I was also published after the age of forty. My heroine was a single mother of two. Maybe I made it too realistic for the reviewer… That when you’re juggling those things, you’re not going to get a lot of sex scenes when it is her week with the kids.**
Anyway, you like it, sex at some point comes into play when you’re reading romance, but there are different levels. Of course, you’re not going to find your hot bow-chica-wow-wow sex in a religious romance book.

I like to think of your preference of steamy love—aka erotic—scenes and books the same as the great steak debate:
Medium Rare
Medium Well
Well Done
Tell me if I’m wrong…
The blue of ER: I would consider that your raw hardcore, picture books—aka—your nudie mags.
Rare: Just might be your group sex, sex with objects being used while the people in your books are going to have lots of sex that just might get you tingling in places (can I say that?). These may leave you turning your head to the side wondering…how?
Medium to Medium Rare: are your people are having an extra healthy dose of sex from one-to-two great scenes that are going to leave you hot and bothered and a need to change your panties.
Medium Well: you’re probably going to get some kissing and closed-door sex.
Well Done: Well, there’s absolutely no sex. Dry.
What level you like your meat cooked is up to you, either way, I don’t judge—I mean if you order your steak well-done I may side eye you, but other than that, enjoy your meat… I mean your book.
Carolyn Hector's latest book, Her Mistletoe Bachelor, is out now. You can also find more information about Carolyn's writing on Facebook and Twitter, and at

Erotic romance and erotica are huge. There’s no denying that. But why? Kait Gamble has a few thoughts on the subject.
On the surface there’s the naughty factor. People love to do things that are risqué and reading erotic stories is definitely one of those things. Feeling as though you’re doing something illicit while right underneath other people’s noses? Even better! How many times have you been on your commute reading something on your phone or ereader that makes you squirm with delight while there are others around? They have no clue what’s on the page or going through your mind. Makes you feel alive doesn’t it?
For me, the sex is just another piece of the characters’ story. I love getting to know the characters, what they think, how they feel and an intimate scene can help further that. The journey the author shares with the reader is rife with detail to bring the story to life. They tell us what they wear, what they eat, what they see and smell, and even what they feel. So why does that have to stop when things get sexy? In my opinion, all readers are voyeurs. What else do you call what we do? We jump into the lives happening on the page and want to know everything about the characters. Sex is a part of our lives so why wouldn’t it be a part of lives of the people we read’? Reading the details makes them more complete. More real.

We want to connect with people, even if they only exist on the page. We want to know that we aren’t the only ones going through what we are, doing what we do. So, when we find characters who like sex the way we do or have similar kinks, it makes us feel less isolated. In a world where most of our connections are made on screen from behind carefully chosen avatars, it’s only natural to look for other ways to feel as though you belong. Feeling a link with a character in a book has to be one of the least threatening ways of doing that. It gives you the chance to explore and learn with little risk.
The spotlight on lust in these stories adds to the fantasy. It isn’t often that you meet someone who will knock the breath from your lungs or make your knees tremble. When was the last time you met your perfect match outside of your imagination? Doesn’t happen a whole lot, does it? So, when you can pick up a book and you can live vicariously through the characters and feel that heart pounding attraction why wouldn’t you? That’s not to say that, as a writer, all you need to focus on is the lust. When mixed with the right dose of emotion, it can make quite an impact on the reader.

Erotic romances can give readers a glimpse into a world that can be familiar or, if you’re lucky, give you a glimpse of something new and tantalizing. Perhaps even something that will enrich your own life. Picture reading something that gets your imagination humming and transferring that to real life. Being able to share it with someone you care about and trust could be quite fulfilling.
Or, conversely, you could learn things you definitely not want to try. Reading about a character being dominated or who enjoys exhibitionism might highlight it’s not your cup of tea just as much as it might spark some curiosity.
In the end, reading erotica and erotic romance is all about self-discovery and entertainment while, maybe, adding a little to your life.
Kait Gamble's latest book, Raking the Ashes, is out now. You can find out more about Kait's writing on Twitter and Facebook, and at

Aleksandr Voinov has been burned by publishers confusing porn and erotica, and argues the case for emotional and visceral connection.
I remember one of my books being turned down by a publisher because it took my characters three chapters to get it on. That publisher is no longer with us, and considering how messily it went down, I count that as a lucky miss. But I was still puzzled and intrigued by the rule of “sex in the first chapter, ideally in the first scene” from a romance publisher.
I sat down and pondered whether I could cut the first two chapters and skip straight to the sex, but the truth was, couldn’t make it work. For me, personally, for sex to sizzle on the page, I need to know who these characters are and the sex has to move something emotionally and mentally―certainly if the characters involved are going to end up together. So I never responded to the “revise and resubmit” email.

Since then, I’ve written all over the spectrum―books with very “blink and you’ll miss it” or fade-to-black sex scenes, and out and out pornographic kink fests, in part because I wanted to try something but mostly because the characters I created would have sex in that particular way and it was important for me as the author to stay honest and write the characters how they would behave in bed―regardless of whether their kink or sexual hang-ups are my own or not. Some characters are not comfortable having sex like porn stars. Others can’t wait to get going.
When thinking about the “heat level” of every project, I think more of the character than the reader, to be honest, though in m/m romance, sex is still very (very) popular and I think likely has an impact on sales. I was told readers expect 5-7 explicit sex scenes for a novel and I should really keep up my side of the deal, since wide swathes of m/m seem to be driven by sex. And that’s fine―I think having sex-positive books is great, and we should all handle sex in fiction like adults. If people want sex in books, in whatever combination, with whatever kinks, all power to them (us).

And as a reader, when I really get into a character (ahem), I often think, or fantasise, about how they would have sex, what they look like with their clothes off, what they like in bed. All that sexual tension between the characters needs a release―and whether that’s in my mind or on the page (or both)―doesn’t really make much of a difference. But I also think that “being into the character” is important―I still want to know who this person is, what drives them, what they desire, what their vulnerabilities are, the things that make them blush and feel both safe and vulnerable.
If the character is not developed―if the character is essentially nothing but a well-endowed body that goes through the motions and has nothing more to say than a few lines of porn dialogue that get looped endlessly―I think visual porn is actually superior to written erotica or porn. Visual porn will always be more detailed and better at the sex and the sexual fantasy (and you can always turn down what little bad dialogue there is).

Meanwhile, written erotic material in my view stands and falls with the character―who is about to have sex, what does it mean to them, what are their issues, how do they feel about it and their partner? Erotic romance and romance can even show the progression of intimacy and emotions.
As an example, my Dark Soul series stands and falls with a couple very dangerous criminals first feeling the attraction, then acting on it, then progressing to emotional involvement, even obsession, and then it messed up their lives. I can explore why Stefano is very reluctant to get emotionally involved (gay men get vanished in the mafia), and how he navigates his bisexuality, preferably without getting murdered. I can explore gender presentation with hit man Silvio who just loves getting himself into erotic trouble and pushes certain people into victimising him because that’s how he gets off.
Still, most of the conflict and development of the characters hinge on who they are and how they got to that place and what they risk by getting involved with each other. For me, personally, that’s more interesting than showing two bodies getting off in the first scene.
Aleksandr Voinov's latest series, Dark Soul, is out now. You can find out more about Aleks' writing on Twitter and Instagram, and at
So, how do you like your meat? I mean erotica! Of course. Who are your favourite erotic romance authors? Do you like a slow build or a Have you struggled meeting the expectation, particularly on LGBTQIA+ authors? Comment below or tell us on social media!